# Data
____________
Record 1
Density functional theory data (ωB97M-V with the def2-TZVPD basis set) for a 8-piece molecular cluster, C32H51N5O19 overall in a non-equilibrium geometry.

Each atom is followed by the atoms it is bonded to, with distances in Å.
Cartesian coordinates (Å):
1 O -22.48814 16.25433 6.05503  N22 1.212
2 O -29.34842 6.81037 9.39323  C34 1.328, H103 0.975
3 O -28.40686 17.86784 4.44412  C39 1.209
4 O -28.20418 11.30529 9.99618  C28 1.212
5 O -26.87948 11.76812 12.49908  C32 1.327, H68 0.971
6 O -28.06969 14.29108 5.53101  C27 1.407, C36 1.410
7 O -26.42656 16.90535 5.98173  C42 1.329, H107 0.971
8 O -25.37139 19.98677 1.56409  C40 1.332, H77 0.974
9 O -31.87650 7.47995 9.72036  C29 1.212
10 O -27.03041 10.62040 17.00292  C41 1.212
11 O -23.42490 18.71703 2.87805  C35 1.204
12 O -24.38037 11.02646 8.66218  C44 1.417, C54 1.393
13 O -30.76305 11.98885 10.33543  C56 1.323, H63 0.976
14 O -22.45837 14.69914 7.54277  N22 1.218
15 O -26.37050 16.04060 9.73941  N21 1.208
16 O -29.39508 12.80846 12.79178  C25 1.207
17 O -23.99817 16.07468 12.13079  C38 1.419, C51 1.414
18 O -27.32556 14.11095 9.67196  N21 1.222
19 O -29.68033 10.94246 17.08209  C52 1.333, H85 0.975
20 N -26.94268 13.44296 3.14537  C47 1.490, H67 1.019, H84 1.020
21 N -26.49885 14.92622 9.29013  O15 1.208, O18 1.222, C48 1.492
22 N -22.05279 15.22419 6.52142  O1 1.212, O14 1.218, C33 1.480
23 N -26.39227 16.59350 14.92413  C37 1.472, H65 1.019, H66 1.023
24 N -23.05072 8.71849 10.00706  C45 1.484, H81 1.021, H102 1.020
25 C -28.89994 12.24138 13.73534  O16 1.207, C31 1.451, C32 1.512
26 C -28.66600 9.01540 9.75422  C28 1.448, C34 1.341, H62 1.083
27 C -27.57680 12.97507 5.47104  O6 1.407, C47 1.504, H100 1.095, H104 1.101
28 C -29.01450 10.40429 9.96704  O4 1.212, C26 1.448, C56 1.512
29 C -31.09005 8.39894 9.79302  O9 1.212, C30 1.451, C34 1.506
30 C -31.43915 9.76904 10.11728  C29 1.451, C56 1.340, H99 1.081
31 C -29.61261 11.93181 14.96129  C25 1.451, C52 1.339, H93 1.085
32 C -27.50824 11.65623 13.66192  O5 1.327, C25 1.512, C53 1.334
33 C -20.97310 14.54555 5.77018  N22 1.480, H79 1.092, H92 1.082, H101 1.082
34 C -29.62539 8.08519 9.64043  O2 1.328, C26 1.341, C29 1.506
35 C -24.53611 18.60121 3.32769  O11 1.204, C40 1.507, C49 1.464
36 C -29.10579 14.48763 6.46690  O6 1.410, H58 1.100, H74 1.095, H82 1.088
37 C -25.61778 15.88842 13.88943  N23 1.472, C50 1.510, C51 1.513, H72 1.100
38 C -22.73297 16.59432 11.75158  O17 1.419, H76 1.086, H80 1.091, H97 1.101
39 C -27.27771 18.09381 4.07534  O3 1.209, C42 1.505, C55 1.466
40 C -25.70078 19.23937 2.61647  O8 1.332, C35 1.507, C55 1.336
41 C -27.56036 10.93066 15.95814  O10 1.212, C52 1.504, C53 1.455
42 C -26.11371 17.60202 4.89359  O7 1.329, C39 1.505, C49 1.332
43 C -25.24000 13.79736 4.82859  C47 1.523, H59 1.090, H70 1.093, H83 1.092
44 C -24.61153 10.65806 10.01053  O12 1.417, C45 1.531, H87 1.094, H89 1.092
45 C -24.45698 9.14799 10.21000  N24 1.484, C44 1.531, C46 1.517, H64 1.094
46 C -24.90447 8.70346 11.59001  C45 1.517, H88 1.095, H90 1.092, H98 1.090
47 C -26.45715 12.95551 4.46717  N20 1.490, C27 1.504, C43 1.523, H96 1.094
48 C -25.55876 14.49777 8.21330  N21 1.492, H60 1.083, H78 1.089, H94 1.077
49 C -24.85169 17.83708 4.53652  C35 1.464, C42 1.332, H57 1.084
50 C -26.54815 15.11638 12.98495  C37 1.510, H61 1.089, H105 1.100, H106 1.088
51 C -24.67283 16.80121 13.13839  O17 1.414, C37 1.513, H73 1.097, H86 1.108
52 C -29.02298 11.28212 15.97315  O19 1.333, C31 1.339, C41 1.504
53 C -26.85995 11.11712 14.69631  C32 1.334, C41 1.455, H91 1.082
54 C -25.49713 10.87276 7.84304  O12 1.393, H69 1.096, H71 1.096, H75 1.097
55 C -26.96376 18.90736 2.89741  C39 1.466, C40 1.336, H95 1.082
56 C -30.48413 10.70797 10.15538  O13 1.323, C28 1.512, C30 1.340
57 H -24.00254 17.45570 5.09190  C49 1.084
58 H -28.69672 14.51008 7.48822  C36 1.100
59 H -25.49851 14.84752 4.69496  C43 1.090
60 H -25.38359 15.28630 7.49208  C48 1.083
61 H -27.37022 14.60353 13.48179  C50 1.089
____________

# To do
The reader should give back the whole of the contents further above word for word.

# Response
Record 1
Density functional theory data (ωB97M-V with the def2-TZVPD basis set) for a 8-piece molecular cluster, C32H51N5O19 overall in a non-equilibrium geometry.

Each atom is followed by the atoms it is bonded to, with distances in Å.
Cartesian coordinates (Å):
1 O -22.48814 16.25433 6.05503  N22 1.212
2 O -29.34842 6.81037 9.39323  C34 1.328, H103 0.975
3 O -28.40686 17.86784 4.44412  C39 1.209
4 O -28.20418 11.30529 9.99618  C28 1.212
5 O -26.87948 11.76812 12.49908  C32 1.327, H68 0.971
6 O -28.06969 14.29108 5.53101  C27 1.407, C36 1.410
7 O -26.42656 16.90535 5.98173  C42 1.329, H107 0.971
8 O -25.37139 19.98677 1.56409  C40 1.332, H77 0.974
9 O -31.87650 7.47995 9.72036  C29 1.212
10 O -27.03041 10.62040 17.00292  C41 1.212
11 O -23.42490 18.71703 2.87805  C35 1.204
12 O -24.38037 11.02646 8.66218  C44 1.417, C54 1.393
13 O -30.76305 11.98885 10.33543  C56 1.323, H63 0.976
14 O -22.45837 14.69914 7.54277  N22 1.218
15 O -26.37050 16.04060 9.73941  N21 1.208
16 O -29.39508 12.80846 12.79178  C25 1.207
17 O -23.99817 16.07468 12.13079  C38 1.419, C51 1.414
18 O -27.32556 14.11095 9.67196  N21 1.222
19 O -29.68033 10.94246 17.08209  C52 1.333, H85 0.975
20 N -26.94268 13.44296 3.14537  C47 1.490, H67 1.019, H84 1.020
21 N -26.49885 14.92622 9.29013  O15 1.208, O18 1.222, C48 1.492
22 N -22.05279 15.22419 6.52142  O1 1.212, O14 1.218, C33 1.480
23 N -26.39227 16.59350 14.92413  C37 1.472, H65 1.019, H66 1.023
24 N -23.05072 8.71849 10.00706  C45 1.484, H81 1.021, H102 1.020
25 C -28.89994 12.24138 13.73534  O16 1.207, C31 1.451, C32 1.512
26 C -28.66600 9.01540 9.75422  C28 1.448, C34 1.341, H62 1.083
27 C -27.57680 12.97507 5.47104  O6 1.407, C47 1.504, H100 1.095, H104 1.101
28 C -29.01450 10.40429 9.96704  O4 1.212, C26 1.448, C56 1.512
29 C -31.09005 8.39894 9.79302  O9 1.212, C30 1.451, C34 1.506
30 C -31.43915 9.76904 10.11728  C29 1.451, C56 1.340, H99 1.081
31 C -29.61261 11.93181 14.96129  C25 1.451, C52 1.339, H93 1.085
32 C -27.50824 11.65623 13.66192  O5 1.327, C25 1.512, C53 1.334
33 C -20.97310 14.54555 5.77018  N22 1.480, H79 1.092, H92 1.082, H101 1.082
34 C -29.62539 8.08519 9.64043  O2 1.328, C26 1.341, C29 1.506
35 C -24.53611 18.60121 3.32769  O11 1.204, C40 1.507, C49 1.464
36 C -29.10579 14.48763 6.46690  O6 1.410, H58 1.100, H74 1.095, H82 1.088
37 C -25.61778 15.88842 13.88943  N23 1.472, C50 1.510, C51 1.513, H72 1.100
38 C -22.73297 16.59432 11.75158  O17 1.419, H76 1.086, H80 1.091, H97 1.101
39 C -27.27771 18.09381 4.07534  O3 1.209, C42 1.505, C55 1.466
40 C -25.70078 19.23937 2.61647  O8 1.332, C35 1.507, C55 1.336
41 C -27.56036 10.93066 15.95814  O10 1.212, C52 1.504, C53 1.455
42 C -26.11371 17.60202 4.89359  O7 1.329, C39 1.505, C49 1.332
43 C -25.24000 13.79736 4.82859  C47 1.523, H59 1.090, H70 1.093, H83 1.092
44 C -24.61153 10.65806 10.01053  O12 1.417, C45 1.531, H87 1.094, H89 1.092
45 C -24.45698 9.14799 10.21000  N24 1.484, C44 1.531, C46 1.517, H64 1.094
46 C -24.90447 8.70346 11.59001  C45 1.517, H88 1.095, H90 1.092, H98 1.090
47 C -26.45715 12.95551 4.46717  N20 1.490, C27 1.504, C43 1.523, H96 1.094
48 C -25.55876 14.49777 8.21330  N21 1.492, H60 1.083, H78 1.089, H94 1.077
49 C -24.85169 17.83708 4.53652  C35 1.464, C42 1.332, H57 1.084
50 C -26.54815 15.11638 12.98495  C37 1.510, H61 1.089, H105 1.100, H106 1.088
51 C -24.67283 16.80121 13.13839  O17 1.414, C37 1.513, H73 1.097, H86 1.108
52 C -29.02298 11.28212 15.97315  O19 1.333, C31 1.339, C41 1.504
53 C -26.85995 11.11712 14.69631  C32 1.334, C41 1.455, H91 1.082
54 C -25.49713 10.87276 7.84304  O12 1.393, H69 1.096, H71 1.096, H75 1.097
55 C -26.96376 18.90736 2.89741  C39 1.466, C40 1.336, H95 1.082
56 C -30.48413 10.70797 10.15538  O13 1.323, C28 1.512, C30 1.340
57 H -24.00254 17.45570 5.09190  C49 1.084
58 H -28.69672 14.51008 7.48822  C36 1.100
59 H -25.49851 14.84752 4.69496  C43 1.090
60 H -25.38359 15.28630 7.49208  C48 1.083
61 H -27.37022 14.60353 13.48179  C50 1.089